Given >
........
Record 1
Starting from a structure optimized by DFT (GGA-PBE), the PXRD pattern of NpPH2O8 was calculated for copper Kα.

Cell and atoms:
abc: 4.6404 5.1243 6.1426
angles: 93.27 95.80 90.34
Atoms (fractional coordinates):
Np (0.0000, 0.0000, 0.0000)
P (0.0000, 0.0000, 0.5000)
H (0.4275, 0.2207, 0.5845)
H (0.5725, 0.7793, 0.4155)
O (0.1887, 0.8588, 0.7187)
O (0.2157, 0.8556, 0.3244)
O (0.2210, 0.2625, 0.5327)
O (0.2495, 0.2692, 0.0259)
O (0.7505, 0.7308, 0.9741)
O (0.7790, 0.7375, 0.4673)
O (0.7843, 0.1444, 0.6756)
O (0.8113, 0.1412, 0.2813)

Top 12 peaks for 10° ≤ 2θ ≤ 80°, in order of falling intensity:
17.33 deg, d 5.116, I 100; 19.23 deg, d 4.616, I 71; 14.52 deg, d 6.101, I 44; 29.28 deg, d 3.050, I 37; 25.84 deg, d 3.447, I 36; 26.15 deg, d 3.407, I 27; 40.17 deg, d 2.245, I 22; 22.02 deg, d 4.037, I 20; 22.95 deg, d 3.875, I 19; 23.33 deg, d 3.813, I 18; 38.69 deg, d 2.327, I 17; 42.84 deg, d 2.111, I 16


Record 2
Starting from a structure optimized by DFT (GGA-PBE), the PXRD pattern of Al2InTeO8 was calculated for copper Kα.

Cell and atoms:
abc: 4.5838 4.5838 6.2030
angles: 90.00 90.00 90.11
Atoms (fractional coordinates):
Al (0.0000, 0.0000, 0.2485)
Al (0.0000, 0.0000, 0.7515)
In (0.5000, 0.5000, 0.5000)
Te (0.5000, 0.5000, 0.0000)
O (0.1741, 0.1741, 0.5000)
O (0.1950, 0.1950, 0.0000)
O (0.2948, 0.7052, 0.2281)
O (0.2948, 0.7052, 0.7719)
O (0.7052, 0.2948, 0.2281)
O (0.7052, 0.2948, 0.7719)
O (0.8050, 0.8050, 0.0000)
O (0.8259, 0.8259, 0.5000)

Top 12 peaks for 10° ≤ 2θ ≤ 80°, in order of falling intensity:
27.52 deg, d 3.241, I 100; 19.36 deg, d 4.584, I 74; 34.93 deg, d 2.569, I 68; 53.59 deg, d 1.710, I 65; 40.23 deg, d 2.242, I 36; 44.20 deg, d 2.049, I 23; 68.45 deg, d 1.371, I 21; 28.79 deg, d 3.102, I 16; 49.45 deg, d 1.843, I 15; 39.31 deg, d 2.292, I 15; 66.88 deg, d 1.399, I 15; 64.25 deg, d 1.450, I 13


Record 3
Starting from a structure optimized by DFT (GGA-PBE), the PXRD pattern of Ho6Tl5Pb was calculated for copper Kα.

Cell and atoms:
abc: 9.2940 9.2940 9.2940
angles: 146.42 132.11 59.75
Atoms (fractional coordinates):
Ho (0.0834, 0.3332, 0.7502)
Ho (0.2502, 0.0000, 0.2502)
Ho (0.4170, 0.6668, 0.7502)
Ho (0.5830, 0.3332, 0.2498)
Ho (0.7498, 0.0000, 0.7498)
Ho (0.9166, 0.6668, 0.2498)
Tl (0.0000, 0.5000, 0.5000)
Tl (0.1659, 0.1659, 0.0000)
Tl (0.3305, 0.8305, 0.5000)
Tl (0.6695, 0.1695, 0.5000)
Tl (0.8341, 0.8341, 0.0000)
Pb (0.5000, 0.5000, 0.0000)

Top 12 peaks for 10° ≤ 2θ ≤ 80°, in order of falling intensity:
33.48 deg, d 2.676, I 100; 33.36 deg, d 2.686, I 50; 59.71 deg, d 1.549, I 39; 59.94 deg, d 1.543, I 19; 47.90 deg, d 1.899, I 19; 79.90 deg, d 1.201, I 17; 70.36 deg, d 1.338, I 12; 48.26 deg, d 1.886, I 9; 70.08 deg, d 1.343, I 6; 23.42 deg, d 3.798, I 1; 41.27 deg, d 2.188, I 1; 23.59 deg, d 3.772, I 1


Record 4
Starting from a structure optimized by DFT (GGA-PBE), the PXRD pattern of SrTmCu2Se4 was calculated for copper Kα.

Cell and atoms:
abc: 6.3834 6.3834 6.3834
angles: 114.10 114.04 100.62
Atoms (fractional coordinates):
Sr (0.0000, 0.0000, 0.0000)
Tm (0.5000, 0.5000, 0.0000)
Cu (0.2508, 0.7508, 0.5000)
Cu (0.7492, 0.2492, 0.5000)
Se (0.0737, 0.0734, 0.5596)
Se (0.4862, 0.9266, 0.0003)
Se (0.5138, 0.5141, 0.4404)
Se (0.9263, 0.4859, 0.9997)

Top 12 peaks for 10° ≤ 2θ ≤ 80°, in order of falling intensity:
28.45 deg, d 3.137, I 100; 36.59 deg, d 2.456, I 66; 46.99 deg, d 1.934, I 56; 33.91 deg, d 2.644, I 49; 52.70 deg, d 1.737, I 20; 58.88 deg, d 1.568, I 19; 16.77 deg, d 5.288, I 18; 30.80 deg, d 2.903, I 15; 18.06 deg, d 4.912, I 14; 44.45 deg, d 2.038, I 12; 48.35 deg, d 1.883, I 12; 64.16 deg, d 1.452, I 11


Record 5
Starting from a structure optimized by DFT (GGA-PBE), the PXRD pattern of Zn2Cu3Au2 was calculated for copper Kα.

Cell and atoms:
abc: 2.8072 6.3960 6.6395
angles: 61.97 89.67 77.36
Atoms (fractional coordinates):
Zn (0.0855, 0.3379, 0.4244)
Zn (0.9145, 0.6621, 0.5756)
Cu (0.0000, 0.5000, 0.0000)
Cu (0.2976, 0.8960, 0.7216)
Cu (0.7024, 0.1040, 0.2784)
........

Exercise >
Could you quote the entries above from the line with "angles: 93.27" to the end with every line break kept?

Result >
angles: 93.27 95.80 90.34
Atoms (fractional coordinates):
Np (0.0000, 0.0000, 0.0000)
P (0.0000, 0.0000, 0.5000)
H (0.4275, 0.2207, 0.5845)
H (0.5725, 0.7793, 0.4155)
O (0.1887, 0.8588, 0.7187)
O (0.2157, 0.8556, 0.3244)
O (0.2210, 0.2625, 0.5327)
O (0.2495, 0.2692, 0.0259)
O (0.7505, 0.7308, 0.9741)
O (0.7790, 0.7375, 0.4673)
O (0.7843, 0.1444, 0.6756)
O (0.8113, 0.1412, 0.2813)

Top 12 peaks for 10° ≤ 2θ ≤ 80°, in order of falling intensity:
17.33 deg, d 5.116, I 100; 19.23 deg, d 4.616, I 71; 14.52 deg, d 6.101, I 44; 29.28 deg, d 3.050, I 37; 25.84 deg, d 3.447, I 36; 26.15 deg, d 3.407, I 27; 40.17 deg, d 2.245, I 22; 22.02 deg, d 4.037, I 20; 22.95 deg, d 3.875, I 19; 23.33 deg, d 3.813, I 18; 38.69 deg, d 2.327, I 17; 42.84 deg, d 2.111, I 16


Record 2
Starting from a structure optimized by DFT (GGA-PBE), the PXRD pattern of Al2InTeO8 was calculated for copper Kα.

Cell and atoms:
abc: 4.5838 4.5838 6.2030
angles: 90.00 90.00 90.11
Atoms (fractional coordinates):
Al (0.0000, 0.0000, 0.2485)
Al (0.0000, 0.0000, 0.7515)
In (0.5000, 0.5000, 0.5000)
Te (0.5000, 0.5000, 0.0000)
O (0.1741, 0.1741, 0.5000)
O (0.1950, 0.1950, 0.0000)
O (0.2948, 0.7052, 0.2281)
O (0.2948, 0.7052, 0.7719)
O (0.7052, 0.2948, 0.2281)
O (0.7052, 0.2948, 0.7719)
O (0.8050, 0.8050, 0.0000)
O (0.8259, 0.8259, 0.5000)

Top 12 peaks for 10° ≤ 2θ ≤ 80°, in order of falling intensity:
27.52 deg, d 3.241, I 100; 19.36 deg, d 4.584, I 74; 34.93 deg, d 2.569, I 68; 53.59 deg, d 1.710, I 65; 40.23 deg, d 2.242, I 36; 44.20 deg, d 2.049, I 23; 68.45 deg, d 1.371, I 21; 28.79 deg, d 3.102, I 16; 49.45 deg, d 1.843, I 15; 39.31 deg, d 2.292, I 15; 66.88 deg, d 1.399, I 15; 64.25 deg, d 1.450, I 13


Record 3
Starting from a structure optimized by DFT (GGA-PBE), the PXRD pattern of Ho6Tl5Pb was calculated for copper Kα.

Cell and atoms:
abc: 9.2940 9.2940 9.2940
angles: 146.42 132.11 59.75
Atoms (fractional coordinates):
Ho (0.0834, 0.3332, 0.7502)
Ho (0.2502, 0.0000, 0.2502)
Ho (0.4170, 0.6668, 0.7502)
Ho (0.5830, 0.3332, 0.2498)
Ho (0.7498, 0.0000, 0.7498)
Ho (0.9166, 0.6668, 0.2498)
Tl (0.0000, 0.5000, 0.5000)
Tl (0.1659, 0.1659, 0.0000)
Tl (0.3305, 0.8305, 0.5000)
Tl (0.6695, 0.1695, 0.5000)
Tl (0.8341, 0.8341, 0.0000)
Pb (0.5000, 0.5000, 0.0000)

Top 12 peaks for 10° ≤ 2θ ≤ 80°, in order of falling intensity:
33.48 deg, d 2.676, I 100; 33.36 deg, d 2.686, I 50; 59.71 deg, d 1.549, I 39; 59.94 deg, d 1.543, I 19; 47.90 deg, d 1.899, I 19; 79.90 deg, d 1.201, I 17; 70.36 deg, d 1.338, I 12; 48.26 deg, d 1.886, I 9; 70.08 deg, d 1.343, I 6; 23.42 deg, d 3.798, I 1; 41.27 deg, d 2.188, I 1; 23.59 deg, d 3.772, I 1


Record 4
Starting from a structure optimized by DFT (GGA-PBE), the PXRD pattern of SrTmCu2Se4 was calculated for copper Kα.

Cell and atoms:
abc: 6.3834 6.3834 6.3834
angles: 114.10 114.04 100.62
Atoms (fractional coordinates):
Sr (0.0000, 0.0000, 0.0000)
Tm (0.5000, 0.5000, 0.0000)
Cu (0.2508, 0.7508, 0.5000)
Cu (0.7492, 0.2492, 0.5000)
Se (0.0737, 0.0734, 0.5596)
Se (0.4862, 0.9266, 0.0003)
Se (0.5138, 0.5141, 0.4404)
Se (0.9263, 0.4859, 0.9997)

Top 12 peaks for 10° ≤ 2θ ≤ 80°, in order of falling intensity:
28.45 deg, d 3.137, I 100; 36.59 deg, d 2.456, I 66; 46.99 deg, d 1.934, I 56; 33.91 deg, d 2.644, I 49; 52.70 deg, d 1.737, I 20; 58.88 deg, d 1.568, I 19; 16.77 deg, d 5.288, I 18; 30.80 deg, d 2.903, I 15; 18.06 deg, d 4.912, I 14; 44.45 deg, d 2.038, I 12; 48.35 deg, d 1.883, I 12; 64.16 deg, d 1.452, I 11


Record 5
Starting from a structure optimized by DFT (GGA-PBE), the PXRD pattern of Zn2Cu3Au2 was calculated for copper Kα.

Cell and atoms:
abc: 2.8072 6.3960 6.6395
angles: 61.97 89.67 77.36
Atoms (fractional coordinates):
Zn (0.0855, 0.3379, 0.4244)
Zn (0.9145, 0.6621, 0.5756)
Cu (0.0000, 0.5000, 0.0000)
Cu (0.2976, 0.8960, 0.7216)
Cu (0.7024, 0.1040, 0.2784)